[Work order]
Could you type out only the last part of the lines further below, starting with the line that has "-1.910"?
[Material]
- - -
[1]
Molecular formula: C12H19N2O3
Method: DFT, ωB97M-V/def2-TZVPD

Geometry (Å):
C -1.6466 1.9405 2.8400
C -2.2392 0.7172 1.8927
O -1.7216 -0.6059 2.2998
N -0.4713 -0.6484 1.8065
C -0.1324 -2.0115 1.2181
C 0.0663 -1.7943 -0.3953
C 1.6231 -1.5479 -0.8709
C 2.3103 -0.1807 -0.2801
C 2.0158 1.1768 -1.1574
N 0.7155 1.1687 -1.9302
C -0.5160 1.8986 -1.4407
C -1.8410 1.7338 -2.3926
C -1.2710 0.8032 -3.6162
C 0.3012 0.5319 -3.2380
C 1.1079 -2.7745 1.9742
O 1.4950 -3.9862 1.4965
O 1.8871 -2.2550 3.1141
H -0.7723 1.5789 3.5392
H -1.1832 2.7931 2.1570
H -2.5769 2.3268 3.4762
H -1.8415 0.9205 0.8107
H -3.4267 0.7289 1.8119
H 0.2467 -0.3221 2.4897
H -1.0993 -2.6857 1.3925
H -0.6673 -0.9047 -0.7042
H -0.3799 -2.7541 -0.9323
H 1.6490 -1.6092 -2.0629
H 2.3230 -2.4477 -0.5159
H 3.4850 -0.3332 -0.2759
H 1.8893 0.0028 0.7984
H 1.9206 2.0632 -0.3633
H 2.9643 1.4750 -1.8180
H -0.6691 2.5384 -0.4722
H -2.9350 2.1386 -2.2884
H -1.7694 0.3794 -4.5884
H 1.1599 -0.0547 -3.7745

Cartesian forces, eV/Å:
-0.589 -0.175 -0.117
0.143 0.889 -0.962
-3.031 2.223 0.483
4.020 -1.091 -1.342
-0.508 -0.058 0.385
-0.446 -0.600 -0.197
0.258 -0.687 -0.247
-0.236 -0.227 -0.506
0.822 0.706 1.147
-5.520 1.217 -1.896
-2.901 -0.899 -2.651
6.027 -2.417 -0.834
3.870 1.220 3.932
-2.340 1.370 1.176
5.397 -3.171 2.592
-2.678 5.652 1.367
-4.801 -1.156 -5.725
-1.940 0.547 -1.325
-1.221 -1.663 1.478
2.357 -0.502 -1.194
-0.768 -0.602 1.967
2.507 -0.273 0.698
-0.847 -1.081 -0.137
2.150 1.388 -0.404
1.839 -1.782 0.663
1.273 1.875 0.996
-0.005 0.434 2.516
-1.868 1.863 -0.518
-2.487 0.389 0.247
1.074 -0.508 -2.047
0.049 -1.845 -1.910
-2.378 -0.846 1.004
1.178 -1.600 -1.927
2.648 -0.806 0.030
1.107 1.003 2.281
-2.155 1.214 0.976

* net charge: -1
* LUMO: 2.95 eV
* SMILES: CCON[C@@H](CCCCn1cccc1)C(=O)[O-]
* E: -803.5084 hartree
* multiplicity: 1
* HOMO energy: -4.10 eV

Mulliken population analysis, charges in e, atoms 1 to 4: C -0.852; C 0.339; O -0.431; N 0.130


[2]
Molecular formula: C12H19NO
Method: DFT, ωB97M-V/def2-TZVPD

Geometry (Å):
C -1.0649 0.6101 2.3352
C -3.3114 -0.5074 -0.4600
C -2.6341 0.3513 0.3911
C -2.8354 -1.7826 -0.7467
C -1.5720 -0.1537 1.1420
C -1.7055 -2.2295 -0.0476
C -1.2015 -1.5022 1.0064
H -4.1439 -0.2376 -1.1020
H -2.8383 1.3862 0.6214
H -3.5189 -2.5175 -1.1448
H -1.2423 -3.1674 -0.2762
H -1.7064 0.4889 3.1998
H -1.0279 1.6872 2.1462
H -0.4216 -1.8562 1.6716
H -0.0584 0.3589 2.6359
C 0.7067 0.8110 -1.3252
C 0.4363 -0.0286 -2.5550
C 2.0043 -1.1187 -0.4154
C 2.3415 2.6260 0.2167
C 2.6805 1.1814 0.3158
O 3.5221 0.6035 0.9142
N 1.6534 0.2842 -0.3528
H 1.1632 1.6913 -1.7569
H -0.1895 1.2438 -0.8734
H 1.2771 -0.2035 -3.2330
H -0.3304 0.5143 -3.1049
H 2.2266 -1.1390 -1.4943
H 2.6261 3.0108 -0.7652
H 0.0756 -1.0178 -2.4470
H 2.9001 -1.2583 0.1700
H 1.2093 -1.8454 -0.3282
H 1.3179 2.7528 0.5435
H 3.0451 3.2022 0.8037

Cartesian forces, eV/Å:
0.240 0.935 -0.391
-0.108 -0.008 -1.512
0.988 -0.200 0.436
0.209 -0.094 1.887
-0.714 -0.911 1.128
-0.370 -0.348 0.023
0.757 1.560 -0.648
-0.253 0.535 0.603
-0.743 0.112 -0.468
0.339 0.092 -1.039
-0.222 -0.721 0.018
-0.181 -0.181 0.143
-0.195 0.042 -0.092
0.002 -0.331 -0.161
0.329 -0.444 0.066
0.681 0.176 -0.716
-0.368 0.015 -0.598
0.474 1.212 -1.071
1.425 0.064 -0.111
-1.120 -0.444 0.421
0.448 0.406 -0.047
-0.203 -0.418 -0.296
0.436 0.563 0.231
-0.183 -0.586 0.471
0.330 0.718 0.241
0.045 -0.026 -0.172
0.549 -0.662 -0.015
-0.861 -0.149 -0.334
-0.812 -0.920 0.822
-0.117 -0.455 0.179
-0.491 0.204 0.523
-0.207 0.429 -0.302
-0.104 -0.168 0.783

* expectation value of S²: 0.758
* net charge: +1
* LUMO (alpha / beta): -3.02 / -7.42 eV
* ΔE to the lowest compared entry with this formula, charge and spin: 0.00 kJ/mol
* E: -598.2988 hartree
* multiplicity: 2
* HOMO energy (alpha / beta): -12.10 / -12.09 eV

Mulliken population analysis, charges in e, atoms 1 to 4: C -1.728; C -0.461; C -0.531; C -0.750


[3]
Molecular formula: C12H19NO2
Method: DFT, ωB97M-V/def2-TZVPD

Geometry (Å):
C -0.8420 3.0178 -1.0469
C -2.0775 0.9797 -1.7626
- - -
[Worked solution]
0.049 -1.845 -1.910
-2.378 -0.846 1.004
1.178 -1.600 -1.927
2.648 -0.806 0.030
1.107 1.003 2.281
-2.155 1.214 0.976

* net charge: -1
* LUMO: 2.95 eV
* SMILES: CCON[C@@H](CCCCn1cccc1)C(=O)[O-]
* E: -803.5084 hartree
* multiplicity: 1
* HOMO energy: -4.10 eV

Mulliken population analysis, charges in e, atoms 1 to 4: C -0.852; C 0.339; O -0.431; N 0.130


[2]
Molecular formula: C12H19NO
Method: DFT, ωB97M-V/def2-TZVPD

Geometry (Å):
C -1.0649 0.6101 2.3352
C -3.3114 -0.5074 -0.4600
C -2.6341 0.3513 0.3911
C -2.8354 -1.7826 -0.7467
C -1.5720 -0.1537 1.1420
C -1.7055 -2.2295 -0.0476
C -1.2015 -1.5022 1.0064
H -4.1439 -0.2376 -1.1020
H -2.8383 1.3862 0.6214
H -3.5189 -2.5175 -1.1448
H -1.2423 -3.1674 -0.2762
H -1.7064 0.4889 3.1998
H -1.0279 1.6872 2.1462
H -0.4216 -1.8562 1.6716
H -0.0584 0.3589 2.6359
C 0.7067 0.8110 -1.3252
C 0.4363 -0.0286 -2.5550
C 2.0043 -1.1187 -0.4154
C 2.3415 2.6260 0.2167
C 2.6805 1.1814 0.3158
O 3.5221 0.6035 0.9142
N 1.6534 0.2842 -0.3528
H 1.1632 1.6913 -1.7569
H -0.1895 1.2438 -0.8734
H 1.2771 -0.2035 -3.2330
H -0.3304 0.5143 -3.1049
H 2.2266 -1.1390 -1.4943
H 2.6261 3.0108 -0.7652
H 0.0756 -1.0178 -2.4470
H 2.9001 -1.2583 0.1700
H 1.2093 -1.8454 -0.3282
H 1.3179 2.7528 0.5435
H 3.0451 3.2022 0.8037

Cartesian forces, eV/Å:
0.240 0.935 -0.391
-0.108 -0.008 -1.512
0.988 -0.200 0.436
0.209 -0.094 1.887
-0.714 -0.911 1.128
-0.370 -0.348 0.023
0.757 1.560 -0.648
-0.253 0.535 0.603
-0.743 0.112 -0.468
0.339 0.092 -1.039
-0.222 -0.721 0.018
-0.181 -0.181 0.143
-0.195 0.042 -0.092
0.002 -0.331 -0.161
0.329 -0.444 0.066
0.681 0.176 -0.716
-0.368 0.015 -0.598
0.474 1.212 -1.071
1.425 0.064 -0.111
-1.120 -0.444 0.421
0.448 0.406 -0.047
-0.203 -0.418 -0.296
0.436 0.563 0.231
-0.183 -0.586 0.471
0.330 0.718 0.241
0.045 -0.026 -0.172
0.549 -0.662 -0.015
-0.861 -0.149 -0.334
-0.812 -0.920 0.822
-0.117 -0.455 0.179
-0.491 0.204 0.523
-0.207 0.429 -0.302
-0.104 -0.168 0.783

* expectation value of S²: 0.758
* net charge: +1
* LUMO (alpha / beta): -3.02 / -7.42 eV
* ΔE to the lowest compared entry with this formula, charge and spin: 0.00 kJ/mol
* E: -598.2988 hartree
* multiplicity: 2
* HOMO energy (alpha / beta): -12.10 / -12.09 eV

Mulliken population analysis, charges in e, atoms 1 to 4: C -1.728; C -0.461; C -0.531; C -0.750


[3]
Molecular formula: C12H19NO2
Method: DFT, ωB97M-V/def2-TZVPD

Geometry (Å):
C -0.8420 3.0178 -1.0469
C -2.0775 0.9797 -1.7626